To do.
Please quote the whole of the notes further down without additions.

Contents.
/*
Here is crystalline K3ScCl6 at its relaxed geometry from the Materials Project database. Energies are from PBE.

Computed properties:
* electronic total energy: -40.78 eV/cell

abc: 7.7251 7.7251 7.7251
angles: 60.00 60.00 60.00
With the nearest neighbours (Å) after each atom.
Atoms (fractional coordinates):
K (0.7500, 0.7500, 0.7500)  12 Cl 3.87
K (0.2500, 0.2500, 0.2500)  12 Cl 3.87
K (0.5000, 0.5000, 0.5000)  6 Cl 2.97
Sc (0.0000, 0.0000, 0.0000)  6 Cl 2.49
Cl (0.7718, 0.2282, 0.2282)  1 Sc 2.49
Cl (0.2282, 0.2282, 0.7718)  1 Sc 2.49
Cl (0.2282, 0.7718, 0.7718)  1 Sc 2.49
Cl (0.2282, 0.7718, 0.2282)  1 Sc 2.49
Cl (0.7718, 0.2282, 0.7718)  1 Sc 2.49
Cl (0.7718, 0.7718, 0.2282)  1 Sc 2.49



Here is crystalline K3ScCl6 at its relaxed geometry from the Materials Project database. Energies are from PBE.

Computed properties:
* electronic total energy: -165.23 eV/cell

abc: 7.6751 12.6753 13.0248
angles: 109.95 90.00 90.00
With the nearest neighbours (Å) after each atom.
Atoms (fractional coordinates):
K (0.5054, 0.3702, 0.6041)  6 Cl 3.20-3.56
K (0.0054, 0.1298, 0.3959)  6 Cl 3.20-3.56
K (0.4946, 0.6298, 0.3959)  6 Cl 3.20-3.56
K (0.9946, 0.8702, 0.6041)  6 Cl 3.20-3.56
K (0.5563, 0.1210, 0.8219)  7 Cl 3.13-3.42
K (0.0563, 0.3790, 0.1781)  7 Cl 3.13-3.42
K (0.4437, 0.8790, 0.1781)  7 Cl 3.13-3.42
K (0.9437, 0.6210, 0.8219)  7 Cl 3.13-3.42
K (0.0574, 0.2719, 0.8099)  6 Cl 3.08-3.39
K (0.5574, 0.2281, 0.1901)  6 Cl 3.08-3.39
K (0.9426, 0.7281, 0.1901)  6 Cl 3.08-3.39
K (0.4426, 0.7719, 0.8099)  6 Cl 3.08-3.39
Sc (0.5000, 0.5000, 0.0000)  6 Cl 2.49-2.53
Sc (0.0000, 0.0000, 0.0000)  6 Cl 2.49-2.53
Sc (0.5000, 0.0000, 0.5000)  6 Cl 2.46-2.55
Sc (0.0000, 0.5000, 0.5000)  6 Cl 2.46-2.55
Cl (0.6940, 0.3851, 0.8477)  1 Sc 2.51
Cl (0.1940, 0.1149, 0.1523)  1 Sc 2.51
Cl (0.3060, 0.6149, 0.1523)  1 Sc 2.51
Cl (0.8060, 0.8851, 0.8477)  1 Sc 2.51
Cl (0.7750, 0.0924, 0.6016)  1 Sc 2.55
Cl (0.2750, 0.4076, 0.3984)  1 Sc 2.55
Cl (0.2250, 0.9076, 0.3984)  1 Sc 2.55
Cl (0.7250, 0.5924, 0.6016)  1 Sc 2.55
Cl (0.3181, 0.1534, 0.6271)  1 Sc 2.50
Cl (0.8181, 0.3466, 0.3729)  1 Sc 2.50
Cl (0.6819, 0.8466, 0.3729)  1 Sc 2.50
Cl (0.1819, 0.6534, 0.6271)  1 Sc 2.50
Cl (0.3622, 0.3220, 0.0090)  1 Sc 2.53
Cl (0.8622, 0.1780, 0.9910)  1 Sc 2.53
Cl (0.6378, 0.6780, 0.9910)  1 Sc 2.53
Cl (0.1378, 0.8220, 0.0090)  1 Sc 2.53
Cl (0.2863, 0.5009, 0.8565)  1 Sc 2.49
Cl (0.7863, 0.9991, 0.1435)  1 Sc 2.49
Cl (0.7137, 0.4991, 0.1435)  1 Sc 2.49
Cl (0.2137, 0.0009, 0.8565)  1 Sc 2.49
Cl (0.0238, 0.3872, 0.6200)  1 Sc 2.46
Cl (0.5238, 0.1128, 0.3800)  1 Sc 2.46
Cl (0.9762, 0.6128, 0.3800)  1 Sc 2.46
Cl (0.4762, 0.8872, 0.6200)  1 Sc 2.46



Here is crystalline KSm2Cl7 at its relaxed geometry from the Materials Project database. Energies are from PBE.

Computed properties:
* electronic total energy: -183.72 eV/cell

abc: 12.9434 7.1011 13.5901
angles: 89.47 90.00 90.00
With the nearest neighbours (Å) after each atom.
Atoms (fractional coordinates):
K (0.2016, 0.7394, 0.0366)  5 Cl 3.26-3.62
K (0.7984, 0.2606, 0.9634)  5 Cl 3.26-3.62
K (0.7016, 0.2606, 0.4634)  5 Cl 3.26-3.62
K (0.2984, 0.7394, 0.5366)  5 Cl 3.26-3.62
Sm (0.5374, 0.7785, 0.2367)  7 Cl 2.75-2.83
Sm (0.4626, 0.2215, 0.7633)  7 Cl 2.75-2.83
Sm (0.0374, 0.2215, 0.2633)  7 Cl 2.75-2.83
Sm (0.9626, 0.7785, 0.7367)  7 Cl 2.75-2.83
Sm (0.8408, 0.7268, 0.2475)  7 Cl 2.75-2.80
Sm (0.1592, 0.2732, 0.7525)  7 Cl 2.75-2.80
Sm (0.3408, 0.2732, 0.2525)  7 Cl 2.75-2.80
Sm (0.6592, 0.7268, 0.7475)  7 Cl 2.75-2.80
Cl (0.9752, 0.9437, 0.1337)  2 Sm 2.78
Cl (0.0248, 0.0563, 0.8663)  2 Sm 2.78
Cl (0.4752, 0.0563, 0.3663)  2 Sm 2.78
Cl (0.5248, 0.9437, 0.6337)  2 Sm 2.78
Cl (0.6851, 0.7434, 0.3894)  2 Sm 2.79-2.83
Cl (0.3149, 0.2566, 0.6106)  2 Sm 2.79-2.83
Cl (0.1851, 0.2566, 0.1106)  2 Sm 2.79-2.83
Cl (0.8149, 0.7434, 0.8894)  2 Sm 2.79-2.83
Cl (0.6783, 0.5162, 0.1724)  2 Sm 2.75-2.78
Cl (0.3217, 0.4838, 0.8276)  2 Sm 2.75-2.78
Cl (0.1783, 0.4838, 0.3276)  2 Sm 2.75-2.78
Cl (0.8217, 0.5162, 0.6724)  2 Sm 2.75-2.78
*/

Worked solution.
Here is crystalline K3ScCl6 at its relaxed geometry from the Materials Project database. Energies are from PBE.

Computed properties:
* electronic total energy: -40.78 eV/cell

abc: 7.7251 7.7251 7.7251
angles: 60.00 60.00 60.00
With the nearest neighbours (Å) after each atom.
Atoms (fractional coordinates):
K (0.7500, 0.7500, 0.7500)  12 Cl 3.87
K (0.2500, 0.2500, 0.2500)  12 Cl 3.87
K (0.5000, 0.5000, 0.5000)  6 Cl 2.97
Sc (0.0000, 0.0000, 0.0000)  6 Cl 2.49
Cl (0.7718, 0.2282, 0.2282)  1 Sc 2.49
Cl (0.2282, 0.2282, 0.7718)  1 Sc 2.49
Cl (0.2282, 0.7718, 0.7718)  1 Sc 2.49
Cl (0.2282, 0.7718, 0.2282)  1 Sc 2.49
Cl (0.7718, 0.2282, 0.7718)  1 Sc 2.49
Cl (0.7718, 0.7718, 0.2282)  1 Sc 2.49



Here is crystalline K3ScCl6 at its relaxed geometry from the Materials Project database. Energies are from PBE.

Computed properties:
* electronic total energy: -165.23 eV/cell

abc: 7.6751 12.6753 13.0248
angles: 109.95 90.00 90.00
With the nearest neighbours (Å) after each atom.
Atoms (fractional coordinates):
K (0.5054, 0.3702, 0.6041)  6 Cl 3.20-3.56
K (0.0054, 0.1298, 0.3959)  6 Cl 3.20-3.56
K (0.4946, 0.6298, 0.3959)  6 Cl 3.20-3.56
K (0.9946, 0.8702, 0.6041)  6 Cl 3.20-3.56
K (0.5563, 0.1210, 0.8219)  7 Cl 3.13-3.42
K (0.0563, 0.3790, 0.1781)  7 Cl 3.13-3.42
K (0.4437, 0.8790, 0.1781)  7 Cl 3.13-3.42
K (0.9437, 0.6210, 0.8219)  7 Cl 3.13-3.42
K (0.0574, 0.2719, 0.8099)  6 Cl 3.08-3.39
K (0.5574, 0.2281, 0.1901)  6 Cl 3.08-3.39
K (0.9426, 0.7281, 0.1901)  6 Cl 3.08-3.39
K (0.4426, 0.7719, 0.8099)  6 Cl 3.08-3.39
Sc (0.5000, 0.5000, 0.0000)  6 Cl 2.49-2.53
Sc (0.0000, 0.0000, 0.0000)  6 Cl 2.49-2.53
Sc (0.5000, 0.0000, 0.5000)  6 Cl 2.46-2.55
Sc (0.0000, 0.5000, 0.5000)  6 Cl 2.46-2.55
Cl (0.6940, 0.3851, 0.8477)  1 Sc 2.51
Cl (0.1940, 0.1149, 0.1523)  1 Sc 2.51
Cl (0.3060, 0.6149, 0.1523)  1 Sc 2.51
Cl (0.8060, 0.8851, 0.8477)  1 Sc 2.51
Cl (0.7750, 0.0924, 0.6016)  1 Sc 2.55
Cl (0.2750, 0.4076, 0.3984)  1 Sc 2.55
Cl (0.2250, 0.9076, 0.3984)  1 Sc 2.55
Cl (0.7250, 0.5924, 0.6016)  1 Sc 2.55
Cl (0.3181, 0.1534, 0.6271)  1 Sc 2.50
Cl (0.8181, 0.3466, 0.3729)  1 Sc 2.50
Cl (0.6819, 0.8466, 0.3729)  1 Sc 2.50
Cl (0.1819, 0.6534, 0.6271)  1 Sc 2.50
Cl (0.3622, 0.3220, 0.0090)  1 Sc 2.53
Cl (0.8622, 0.1780, 0.9910)  1 Sc 2.53
Cl (0.6378, 0.6780, 0.9910)  1 Sc 2.53
Cl (0.1378, 0.8220, 0.0090)  1 Sc 2.53
Cl (0.2863, 0.5009, 0.8565)  1 Sc 2.49
Cl (0.7863, 0.9991, 0.1435)  1 Sc 2.49
Cl (0.7137, 0.4991, 0.1435)  1 Sc 2.49
Cl (0.2137, 0.0009, 0.8565)  1 Sc 2.49
Cl (0.0238, 0.3872, 0.6200)  1 Sc 2.46
Cl (0.5238, 0.1128, 0.3800)  1 Sc 2.46
Cl (0.9762, 0.6128, 0.3800)  1 Sc 2.46
Cl (0.4762, 0.8872, 0.6200)  1 Sc 2.46



Here is crystalline KSm2Cl7 at its relaxed geometry from the Materials Project database. Energies are from PBE.

Computed properties:
* electronic total energy: -183.72 eV/cell

abc: 12.9434 7.1011 13.5901
angles: 89.47 90.00 90.00
With the nearest neighbours (Å) after each atom.
Atoms (fractional coordinates):
K (0.2016, 0.7394, 0.0366)  5 Cl 3.26-3.62
K (0.7984, 0.2606, 0.9634)  5 Cl 3.26-3.62
K (0.7016, 0.2606, 0.4634)  5 Cl 3.26-3.62
K (0.2984, 0.7394, 0.5366)  5 Cl 3.26-3.62
Sm (0.5374, 0.7785, 0.2367)  7 Cl 2.75-2.83
Sm (0.4626, 0.2215, 0.7633)  7 Cl 2.75-2.83
Sm (0.0374, 0.2215, 0.2633)  7 Cl 2.75-2.83
Sm (0.9626, 0.7785, 0.7367)  7 Cl 2.75-2.83
Sm (0.8408, 0.7268, 0.2475)  7 Cl 2.75-2.80
Sm (0.1592, 0.2732, 0.7525)  7 Cl 2.75-2.80
Sm (0.3408, 0.2732, 0.2525)  7 Cl 2.75-2.80
Sm (0.6592, 0.7268, 0.7475)  7 Cl 2.75-2.80
Cl (0.9752, 0.9437, 0.1337)  2 Sm 2.78
Cl (0.0248, 0.0563, 0.8663)  2 Sm 2.78
Cl (0.4752, 0.0563, 0.3663)  2 Sm 2.78
Cl (0.5248, 0.9437, 0.6337)  2 Sm 2.78
Cl (0.6851, 0.7434, 0.3894)  2 Sm 2.79-2.83
Cl (0.3149, 0.2566, 0.6106)  2 Sm 2.79-2.83
Cl (0.1851, 0.2566, 0.1106)  2 Sm 2.79-2.83
Cl (0.8149, 0.7434, 0.8894)  2 Sm 2.79-2.83
Cl (0.6783, 0.5162, 0.1724)  2 Sm 2.75-2.78
Cl (0.3217, 0.4838, 0.8276)  2 Sm 2.75-2.78
Cl (0.1783, 0.4838, 0.3276)  2 Sm 2.75-2.78
Cl (0.8217, 0.5162, 0.6724)  2 Sm 2.75-2.78